Ji Xin’s Female Figures Combine Surrealism with Traditional Chinese Painting

Ji Xin (b. 1988) is an artist from Nantong, Jiangsu Province, who is making a name for himself through his captivating figurative paintings. Growing up in an artistic family, Ji Xin knew he wanted to be an artist from a young age. Combining his interest in surrealism and Traditional Chinese painting, he has created his own visual language which can be seen in his work.

# Between two parts of the page: records of molecules
<<<
C31H58AlBr4Cl4F3MgN3O6Si | the ωB97M-V functional and the def2-TZVPD basis

Values from the calculation:
Total charge   +3
Spin multiplicity   1

Each line ends with the Löwdin charge.
CARTESIAN COORDINATES (ANGSTROEM)
C: -4.4819 1.0655 -0.6527  -0.06
C: -3.3640 0.1382 -0.1592  -0.24
O: -2.2210 0.9164 0.2052  -0.18
C: -1.5322 0.5402 1.3738  -0.22
C: -0.1186 -0.0204 1.0798  -0.19
Si: 0.1334 -0.9030 -0.5836  0.70
C: -0.9631 -2.4186 -0.7988  -0.19
C: -1.3835 -2.9289 0.5883  -0.26
C: -2.6077 -3.8180 0.6330  -0.18
F: -2.4128 -4.9059 -0.1827  -0.01
C: 1.9346 -1.5439 -0.5495  -0.22
C: 2.2664 -2.7228 -1.4805  -0.26
C: 1.9068 -2.5256 -2.9593  -0.20
C: 2.3746 -3.7608 -3.7680  -0.26
N: 1.2127 -4.5944 -4.1362  -0.01
C: -0.0112 0.3088 -2.0470  -0.31
F: -1.1862 0.0509 -2.7949  -0.07
C: 0.0090 1.7513 -1.5542  -0.31
C: 0.7386 2.7511 -2.4565  -0.10
H: -5.4457 0.7766 -0.2359  0.09
H: -4.2454 2.1055 -0.4208  0.06
H: -4.5817 0.9828 -1.7399  0.07
H: -3.7329 -0.4596 0.6807  0.12
H: -3.0814 -0.5221 -0.9861  0.10
H: -1.4077 1.4382 1.9864  0.13
H: -2.1117 -0.1623 1.9843  0.12
H: 0.1141 -0.7566 1.9065  0.01
H: 0.6467 0.7547 1.1889  0.10
H: -0.4189 -3.2244 -1.3004  0.09
H: -1.8496 -2.2638 -1.4197  0.10
H: -0.4975 -3.4825 0.9800  0.05
H: -1.5936 -2.0930 1.2680  0.09
H: -2.8185 -4.1454 1.6534  0.12
H: -3.4664 -3.2478 0.2667  0.14
H: 2.0949 -1.9185 0.5114  0.01
H: 2.6479 -0.7206 -0.6550  0.11
H: 3.3448 -2.9036 -1.4448  0.12
H: 1.7887 -3.6456 -1.1267  0.11
H: 2.4356 -1.6505 -3.3444  0.12
H: 0.8281 -2.4411 -3.1157  0.09
H: 3.0153 -4.3829 -3.1373  0.11
H: 2.9319 -3.4607 -4.6619  0.11
H: 0.4510 -3.9839 -4.4171  0.06
H: 1.4114 -5.1386 -4.9740  -0.02
H: 0.8148 0.1658 -2.7526  0.11
H: -1.0520 2.0302 -1.5107  -0.08
H: 0.3360 1.8533 -0.5208  0.08
H: 1.0534 3.6195 -1.8784  0.07
H: 0.0787 3.1087 -3.2665  0.03
H: 1.5750 2.2805 -2.9785  0.09
C: 1.4088 -7.8898 -6.7513  -0.96
Cl: 2.1890 -6.3024 -7.0725  0.50
Cl: -0.3357 -7.7478 -6.7587  0.56
H: 1.7174 -8.5773 -7.5294  0.03
H: 1.7400 -8.2283 -5.7770  0.04
C: 4.3413 -5.8197 -10.0310  -1.17
Cl: 5.5293 -4.6490 -9.9590  0.85
Cl: 4.4682 -7.0034 -11.1977  0.86
H: 3.9922 -6.1735 -9.0615  -0.01
H: 3.2922 -5.0674 -10.5589  -0.27
Mg: 0.9139 -2.6478 2.0826  1.26
C: 0.6620 8.7601 -0.1926  -0.05
C: -0.1666 7.5394 0.2085  -0.40
C: 0.5360 6.1985 -0.2278  -0.20
O: 0.4725 5.8655 -1.5899  -0.24
C: 1.4108 6.4865 -2.4537  -0.09
N: -1.5083 7.6625 -0.3057  0.07
H: 0.5496 9.0065 -1.2496  0.07
H: 0.3184 9.6214 0.3812  0.08
H: 1.7198 8.6093 0.0202  0.08
H: -0.2265 7.4964 1.2970  0.13
H: -0.0028 5.3778 0.3003  0.07
H: 1.5784 6.1910 0.1121  0.12
H: 2.3642 6.6520 -1.9467  0.10
H: 1.0214 7.4345 -2.8304  0.08
H: 1.5669 5.8223 -3.3053  0.08
H: -2.1118 6.9337 0.0614  0.08
H: -1.5195 7.5498 -1.3149  0.07
O: -0.2393 -3.8222 5.4195  0.11
C: -0.7013 -4.8810 5.0905  -0.49
O: -1.3021 -5.0356 3.8766  -0.03
C: -1.8655 -6.3747 3.7778  -0.14
C: -1.0808 -7.2030 4.7856  -0.13
C: -0.7545 -6.1715 5.8663  -0.05
H: -2.9268 -6.3133 4.0199  0.14
H: -1.7574 -6.7235 2.7535  0.13
>>>

Tell us a little bit about yourself. Where are you from originally and when did art first enter your life?
I come from the south of China and I liked drawing when I was a child. There is a hill in the west of my house. I remember I drew many pictures of the hill on the wall of my house. My mother is a woodcarver,and she can draw. She taught me to draw some birds and flowers. In junior high school, I began to learn how to sketch. That’s when I began to aspire to be an artist.

# 1
Density functional theory data (ωB97M-V with the def2-TZVPD basis set) for a molecular structure, C29H41F5P2PrS.

Values from the calculation:
Total charge ... +1
E_LUMO (alpha / beta) ... -3.78 / -3.58 eV
Gap between HOMO and LUMO (alpha / beta) ... 0.2396 / 0.2469 hartree
2S+1 ... 3
Molar mass ... 719.6 Da

Each line ends with the Löwdin charge.
Geometry (Å):
Pr1 2.06073 0.46123 -1.26917  0.910
C1 -0.26752 -0.27418 0.46671  -0.265
C2 -0.04618 -1.43155 -0.35376  -0.277
C3 1.74467 -1.23331 1.09294  -0.299
C4 0.81390 -0.19845 1.38568  -0.278
C5 1.25329 -1.95126 -0.03112  -0.335
C6 -1.52392 0.49913 0.66468  -0.025
H1 -2.24684 0.36926 -0.14896  0.052
H2 -1.32395 1.57625 0.74022  0.090
H3 -2.02834 0.20008 1.60030  0.108
C7 0.78163 0.55421 2.65277  -0.013
H4 0.21586 1.48368 2.54945  0.086
H5 1.78899 0.81697 2.98407  0.067
H6 0.30954 -0.03541 3.45666  0.115
C8 2.85267 -1.63898 1.99167  -0.029
H7 2.48220 -2.00619 2.96288  0.107
H8 3.51480 -0.79675 2.20565  0.040
H9 3.46916 -2.43086 1.55398  0.088
C9 1.83898 -3.21853 -0.55139  -0.043
H10 1.72763 -4.06604 0.15008  0.104
H11 2.91706 -3.09120 -0.73410  0.082
H12 1.36737 -3.50926 -1.50242  0.081
C10 -1.09604 -2.24422 -1.04272  -0.032
H13 -1.03618 -3.30871 -0.72854  0.101
H14 -1.01237 -2.23742 -2.14025  0.074
H15 -2.11426 -1.90534 -0.77557  0.090
C11 -2.90208 2.54892 -1.97398  -0.113
C12 -4.10851 1.98200 -1.86502  -0.113
C13 -4.54807 0.69966 -2.47942  -0.190
C14 -4.44969 0.61155 -4.02091  -0.171
C15 -3.28502 -0.15136 -4.55647  -0.105
C16 -2.06335 -0.22754 -4.01390  -0.144
C17 -1.56944 0.44992 -2.75157  -0.241
C18 -1.68730 1.98925 -2.66335  -0.218
H16 -5.60830 0.60840 -2.20430  0.113
H17 -4.49366 1.61721 -4.47817  0.130
H18 -4.03894 -0.15517 -2.01355  0.109
H19 -1.59851 2.40206 -3.68196  0.067
H20 -2.76887 3.55514 -1.54766  0.110
H21 -4.89855 2.53393 -1.34135  0.110
H22 -0.81395 2.40630 -2.11172  0.098
H23 -2.04458 0.00419 -1.87726  0.054
H24 -1.32424 -0.91744 -4.45180  0.089
H25 -0.50258 0.16175 -2.65547  0.044
H26 -5.34790 0.07512 -4.36739  0.114
H27 -3.46400 -0.70202 -5.48902  0.113
P1 0.52046 1.74286 -4.97409  0.895
C19 0.63618 3.23430 -6.07064  -0.265
C20 -0.11090 0.65124 -6.36068  -0.254
P2 2.68496 -0.10579 -3.83977  0.718
C21 2.30975 1.34914 -4.95774  -0.558
C22 2.21123 -1.50816 -4.93963  -0.244
C23 4.49496 -0.09922 -4.10999  -0.242
H28 1.60039 3.73003 -5.90130  0.041
H29 -0.18352 3.92430 -5.83170  0.041
H30 0.55524 2.95774 -7.13227  0.038
H31 0.10696 1.08488 -7.34493  0.040
H32 -1.20162 0.57725 -6.25914  0.025
H33 0.30863 -0.35710 -6.31377  0.014
H34 4.73201 0.30547 -5.10392  0.065
H35 4.88954 -1.11817 -4.01132  0.062
H36 4.92190 0.54166 -3.32796  0.042
H37 2.83177 2.21875 -4.51944  0.061
H38 2.69277 1.18747 -5.98287  0.078
H39 2.70497 -2.42677 -4.57025  0.060
H40 2.55104 -1.29649 -5.97077  0.070
H41 1.12309 -1.67227 -4.91609  0.031
F1 1.86050 4.59055 4.06215  0.130
C24 2.44123 3.75320 3.17241  -0.104
C25 2.05756 3.76402 1.83452  -0.134
F2 1.09697 4.61633 1.39993  0.119

Has your work always taken on the style it currently embodies?
When I just graduated from the Academy of Fine Arts, after several years of trying, I have been looking for a more suitable way of painting. When I just graduated, I was more interested in fairy tales and surrealism. At the same time, I was interested in the Traditional Chinese fine brushwork of ladies. I also wanted to combine the traditional Chinese ladies’ modeling in the portrayal of characters.

What’s a day in the studio like for you?
I live in the studio, in the suburbs of Shanghai. I don’t arrange my time deliberately, sometimes I want to be diligent, sometimes I’m a little lazy, but I spend almost the whole day in the studio.

What’s next for you?
In addition to several group shows, I am also preparing for a solo project at Almine Rech in Paris which will be in January.

From where do you draw inspiration?
Many, some of the people and things in reality,network pictures, works of ancient masters, architecture, sculpture and so on, will give me a lot of inspiration.

Have you always painted in the style your work currently inhabits?
Well, not really, but I’ve always portrayed objects in a relatively traditional way.

What source material do you base your work off of?
For example, some space and character modeling, or the shape of a flower, clothing patterns and so on, they may become materials. Most of the time I draw based on imagination.

Does your work reference any Art Historical movements?
When I was a student, I studied some of the early Renaissance masters, and as you can see, classicism was a big influence on me, and I read a lot of modernism, and I like Balthus, Matisse, Giacometti, Brancusi, all of them influenced me in some way,and the I was also influenced by the popularity of posters in Shanghai at the beginning of the last century,as a Chinese artist, I have to think about how to integrate my traditional painting language, and I like those Western artists who can more or less find similar things in Eastern art.

Here the page breaks off for molecular data:
Entry 1:
{
  "formula": "C20H31CoO5S",
  "method": "the ωB97M-V functional and the def2-TZVPD basis",
  "species": ["O", "C", "C", "H", "H", "C", "H", "H", "C", "H", "H", "H", "C", "H", "H", "H", "Co", "C", "C", "C", "H", "C", "C", "H", "H", "H", "H", "C", "C", "C", "H", "C", "C", "H", "H", "H", "H", "O", "C", "C", "H", "H", "C", "H", "H", "C", "H", "H", "H", "H", "C", "S", "O", "O", "O", "H", "H", "H"],
  "coordinates": [[-0.1832, -0.2087, -4.6680], [-0.4566, 0.8484, -5.6644], [-0.1309, 0.1145, -6.8996], [0.2391, 1.6842, -5.5504], [-1.4982, 1.1866, -5.6316], [-0.0259, -1.0311, -5.8857], [0.7765, 0.5482, -7.3424], [-0.9617, 0.1939, -7.5818], [1.3400, -1.6821, -5.9891], [2.1377, -0.9668, -5.7342], [1.5037, -1.9316, -7.0437], [1.4336, -2.5920, -5.3813], [-1.2098, -1.9958, -5.8707], [-2.1304, -1.4196, -5.6843], [-1.0891, -2.7642, -5.0849], [-1.2955, -2.4699, -6.8533], [-0.3303, -0.9369, -1.9353], [-1.8340, -0.7630, -0.3713], [-1.7768, 0.6282, -0.0745], [-2.2593, 1.3665, -1.2005], [-1.6034, 1.0438, 0.9114], [-2.7131, 0.4533, -2.1730], [-2.3910, -0.8921, -1.7232], [-2.8535, -1.7924, -2.1232], [-1.7680, -1.5368, 0.4013], [-2.3835, 2.4515, -1.2291], [-3.1898, 0.7044, -3.1176], [0.8158, -1.8701, -0.5735], [0.0436, -2.7912, -1.3564], [0.3829, -2.5689, -2.7391], [-0.6552, -3.5300, -0.9841], [1.5020, -1.6866, -2.7734], [1.7146, -1.1913, -1.4585], [2.5593, -0.5559, -1.1870], [0.8005, -1.8091, 0.5145], [-0.0248, -3.0074, -3.6393], [2.1572, -1.5667, -3.6232], [2.6663, 2.7634, -4.5425], [2.0313, 1.7444, -3.7551], [0.5547, 2.2095, -3.4945], [2.5060, 1.5879, -2.7722], [2.1046, 0.7961, -4.3207], [0.5143, 3.7088, -3.8358], [0.2276, 1.8465, -2.5098], [-0.2636, 1.7156, -4.0194], [1.9482, 4.0117, -4.3471], [0.3866, 4.2546, -2.8951], [-0.2910, 3.9843, -4.5314], [2.4731, 4.5286, -3.5089], [1.9918, 4.5942, -5.2952], [0.2753, 3.0891, 0.4994], [1.1223, 1.5146, 0.4991], [2.5359, 1.7254, 0.7926], [0.4500, 0.5979, 1.4331], [0.8434, 1.1477, -0.9320], [0.6034, 3.6304, 1.3916], [-0.8044, 2.8904, 0.4777], [0.5843, 3.5969, -0.4223]],
  "energy_ha": -2937.6710,
  "orbital_gap_ha": [0.2308, 0.2597],
  "multiplicity": 4,
  "de_lowest_ev": 1.558,
  "total_charge": -1,
  "homo_ev": [-3.657, -4.447]
}


Entry 2:
{
  "formula": "C3H3N3",
  "method": "the ωB97M-V functional and the def2-TZVPD basis",
  "species": ["N", "C", "N", "C", "C", "N", "H", "H", "H"],
  "coordinates": [[-2.1732, -0.1954, 0.0954], [-0.8991, -0.0468, -0.1234], [-0.1667, -1.3203, -0.0231], [0.9942, -0.8303, 0.0033], [1.0521, 0.6151, 0.0202], [-0.1255, 1.2022, -0.0972], [-2.6161, 0.6962, -0.0869], [1.9280, -1.4295, -0.1736], [2.0064, 1.3088, 0.3853]],
  "energy_ha": -280.3029,
  "orbital_gap_ha": 0.3575,
  "multiplicity": 1,
  "de_lowest_ev": 2.120,
  "smiles": "N=C1N=CC=N1",
  "homo_ev": -10.999
}


Entry 3:
{
  "formula": "C27H35F6FeN3O9S3Sb",
  "method": "the ωB97M-V functional and the def2-TZVPD basis",

What is your process like? How do you begin a work?
I do a sketch to determine the composition of a picture. Sometimes I use watercolor and then I blow it up on the canvas and do a direct painting.

At the end of every interview, we like to ask the artist to recommend a friend whose work you love for us to interview next. Who would you suggest?
I recommend ZhangJi, also living in China, and is a very interesting artist.